File >
-- begin --
Record 1
This record from the Open Molecules 2025 dataset describes 5 unconnected molecules or ions with the total composition C7H22O4. The level of theory is ωB97M-V with the def2-TZVPD basis set.

Each line ends with the Löwdin charge.
Positions of all 33 atoms, in Å:
1 C -0.846 0.863 2.377  0.03
2 C -0.391 0.108 1.315  -0.32
3 C -1.389 -0.898 0.941  -0.10
4 C 1.062 0.120 0.808  -0.17
5 C 1.223 0.280 -0.689  -0.18
6 C 2.835 0.115 -0.825  -0.20
7 C 3.179 -1.411 -1.196  -0.09
8 H -1.835 0.703 2.815  0.06
9 H -0.145 1.602 2.811  0.07
10 H -1.680 -1.470 1.777  0.08
11 H -1.334 -1.433 -0.088  0.13
12 H -2.311 -0.353 0.741  0.01
13 H 1.659 0.995 1.068  0.12
14 H 1.545 -0.756 1.164  0.10
15 H 0.899 1.288 -0.970  0.10
16 H 0.886 -0.407 -1.359  0.06
17 H 3.452 0.494 -0.095  0.06
18 H 3.047 0.751 -1.784  0.13
19 H 2.943 -2.213 -0.470  0.05
20 H 2.538 -1.731 -2.133  0.11
21 H 4.193 -1.321 -1.163  0.02
22 O -2.461 2.514 -0.481  -0.11
23 H -2.317 2.687 0.447  0.00
24 H -2.899 1.548 -0.378  0.07
25 O -0.465 2.775 -2.999  -0.03
26 H -1.245 3.163 -2.705  -0.02
27 H -0.272 2.105 -2.342  -0.01
28 O -4.080 0.538 0.595  -0.09
29 H -3.788 -0.467 0.694  0.12
30 H -4.052 0.880 1.473  0.03
31 O 0.614 -4.045 0.280  0.00
32 H 0.770 -3.598 -0.550  0.03
33 H 0.664 -3.425 0.922  -0.04

Results
2S+1: 1
E: -580.7259 Eh
Charge: 0
Structure (SMILES): C=C(C)CCCC.O.O.O.O
F_max: 0.1234 Eh/bohr

Record 2
This record from the Open Molecules 2025 dataset describes a molecular structure, C7H23Cl2N7O4V. The level of theory is ωB97M-V with the def2-TZVPD basis set.

Each line ends with the Mulliken spin population.
Positions of all 44 atoms, in Å:
1 V 0.956 -8.206 10.954  2.97
2 Cl -1.090 -7.270 9.636  0.00
3 Cl 3.150 -8.885 12.397  0.00
4 C 1.639 -11.201 9.643  0.00
5 O 1.150 -10.092 9.814  0.00
6 N 2.752 -11.612 10.182  0.00
7 N 1.027 -12.120 8.973  0.00
8 H 2.905 -12.611 10.205  0.00
9 H 3.316 -10.967 10.716  0.00
10 H 1.514 -13.002 8.907  0.00
11 H 0.071 -12.066 8.652  0.00
12 C 3.542 -7.341 8.903  0.00
13 O 2.518 -7.237 9.580  0.00
14 N 4.373 -8.335 8.998  0.00
15 N 3.950 -6.479 7.962  0.00
16 H 5.181 -8.249 8.398  0.00
17 H 4.294 -9.120 9.629  0.00
18 H 4.912 -6.528 7.658  0.00
19 H 3.601 -5.531 7.965  0.00
20 C 0.561 -5.179 12.520  0.00
21 O 1.054 -6.166 11.908  -0.01
22 N -0.621 -4.760 12.405  0.00
23 N 1.301 -4.448 13.276  0.00
24 H -1.239 -5.375 11.896  0.00
25 H -0.928 -3.943 12.913  0.00
26 H 0.932 -3.567 13.603  0.00
27 H 2.160 -4.885 13.579  0.00
28 C -1.131 -11.164 12.273  0.01
29 C -1.522 -9.670 12.419  -0.04
30 C -2.673 -9.483 13.415  0.00
31 O -3.063 -8.099 13.723  0.00
32 C -3.854 -7.492 12.717  0.00
33 N -0.415 -8.789 12.644  -0.01
34 H -1.947 -11.885 12.220  0.00
35 H -0.458 -11.568 13.029  0.00
36 H -0.721 -11.192 11.263  0.00
37 H -1.871 -9.322 11.447  0.02
38 H -2.258 -10.008 14.275  0.00
39 H -3.517 -10.080 13.069  0.00
40 H -3.693 -6.426 12.556  0.00
41 H -4.867 -7.528 13.118  0.00
42 H -3.871 -8.073 11.794  0.00
43 H -0.973 -8.044 13.034  0.01
44 H -0.107 -9.306 13.455  0.01

Results
2S+1: 4
E: -2829.3420 Eh
<S²>: 3.754
Charge: 0
F_max: 0.1156 Eh/bohr

Record 3
This record from the Open Molecules 2025 dataset describes 6 unconnected molecules or ions with the total composition C7H23O6. The level of theory is ωB97M-V with the def2-TZVPD basis set.

Each line ends with the Löwdin charge.
Positions of all 36 atoms, in Å:
1 C -0.526 2.653 0.793  -0.32
2 O 0.510 3.035 1.640  -0.21
3 C -0.765 1.165 1.189  -0.15
4 C -0.667 0.162 -0.031  -0.20
5 C 0.695 -0.370 -0.160  -0.37
6 C 1.580 -0.039 -1.118  0.04
7 C 0.957 -1.644 0.647  -0.20
8 C 0.603 -1.425 2.125  -0.12
9 H -0.317 2.699 -0.263  0.09
10 H -1.390 3.231 1.144  0.09
11 H -1.902 1.095 1.508  0.12
12 H -0.011 0.851 1.944  0.08
13 H -0.806 0.688 -0.974  0.10
14 H -1.366 -0.754 0.097  0.13
15 H 2.609 -0.448 -0.923  0.08
16 H 1.599 0.686 -1.932  0.06
17 H 0.424 -2.470 0.175  0.08
18 H 1.986 -2.112 0.780  0.13
19 H -0.453 -1.202 2.303  0.06
20 H 0.821 -2.329 2.657  0.06
-- stop --

Activity >
Transcribe only the lines further up with the word "C7H23Cl2N7O4V" in them.

Done >
This record from the Open Molecules 2025 dataset describes a molecular structure, C7H23Cl2N7O4V. The level of theory is ωB97M-V with the def2-TZVPD basis set.